Global Financial Data has added over 30 new Consumer Price and Producer Price Indices to its database as well as 25 new Unemployment Rates. With these additions, the GFDatabase now includes data on Consumer Price Indices from over 170 countries and data on Producer Price Indices and Unemployment Rates from over 100 countries. If you go to the search engine and choose Consumer Price Index, Producer Price Index or Unemployment Rate under the Main Indicators, you can obtain a list of the countries for which we have CPI files, PPI files and Unemployment Rates. Global Financial Data also calculates the Annual Inflation Rate for each country. To obtain the CPI for a particular country you can use the mnemonic CP + 3-letter ISO Code + M and to obtain the PPI for a particular country, you can use the mnemonic WP + 3-letter ISO Code + M. Consequently, the CPI for the United States is CPUSAM and the Producer Price Index is WPUSAM. To obtain data for the annual rate of Inflation, add APC to the code which would yield CPUSAMAPC for the Annual Inflation Rate for Consumer Prices in the United States.
A list of the new files is provided below:
Country | Ticker | Type | Periodicity | Begins |
Bermuda | CPBMUM | Consumer Prices | Monthly | 2012 |
Bhutan | CPBTNM | Consumer Prices | Monthly | 2003 |
Cape Verde | CPCVEM | Consumer Prices | Monthly | 2006 |
Cayman Islands | CPCYMM | Consumer Prices | Quarterly | 1994 |
Faroe Islands | CPFROM | Consumer Prices | Quarterly | 1983 |
Liberia | CPLBRM | Consumer Prices | Monthly | 2005 |
Puerto Rico | CPPRIM | Consumer Prices | Monthly | 2006 |
Vanuatu | CPVUTM | Consumer Prices | Quarterly | 1998 |
Albania | WPALBM | Producer Prices | Quarterly | 1998 |
Algeria | WPDZAM | Producer Prices | Quarterly | 1997 |
Angola | WPAGOM | Producer Prices | Monthly | 2014 |
Azerbaijan | WPAZEM | Producer Prices | Monthly | 2012 |
Bhutan | WPBTNM | Producer Prices | Monthly | 2011 |
Cyprus | WPCYPM | Producer Prices | Monthly | 1968 |
Fiji | WPFJIM | Producer Prices | Quarterly | 2012 |
Iceland | WPISLM | Producer Prices | Monthly | 2003 |
Kenya | WPKENM | Producer Prices | Quarterly | 2011 |
Kosovo | WPKSVM | Producer Prices | Quarterly | 2008 |
Macedonia | WPMKDM | Producer Prices | Monthly | 1993 |
Malta | WPMLTM | Producer Prices | Monthly | 2000 |
Mauritius | WPMUSM | Producer Prices | Monthly | 2007 |
Moldova | WPMDAM | Producer Prices | Monthly | 2011 |
Mongolia | WPMNGM | Producer Prices | Monthly | 2015 |
Between two parts of the text: materials data.
<<<
Record 1
# Nd2Dy4Mg | Alexandria | GGA-PBE | relaxed
data_Nd2Dy4Mg
_chemical_formula_sum 'Nd4 Dy8 Mg2'
_cell_length_a 6.382
_cell_length_b 11.643
_cell_length_c 6.547
_cell_angle_alpha 90.00
_cell_angle_beta 112.80
_cell_angle_gamma 90.00
_space_group_name_H-M_alt 'P 1 21/c 1'
_space_group_IT_number 14
loop_
_space_group_symop_operation_xyz
'x,y,z'
'-x,-y,-z'
'-x,y+1/2,-z+1/2'
'x,-y+1/2,z+1/2'
loop_
_atom_site_label
_atom_site_type_symbol
_atom_site_fract_x
_atom_site_fract_y
_atom_site_fract_z
Nd1 Nd 0.175 0.000 0.302
Dy1 Dy 0.241 0.211 0.716
Dy2 Dy 0.243 0.711 0.215
Mg1 Mg 0.500 0.000 0.000
# mass density	7.1	g cm⁻³
# energy of formation from the pure elements	0.118	eV/atom
# distance to the lowest polymorph of the same formula	0.0	kJ/mol of atoms
# M_tot	0.0	μB per formula unit
# DOS at the Fermi energy	18.69	states/eV per cell

Record 2
# NiBH2 | Alexandria | GGA-PBE | relaxed
data_NiBH2
_chemical_formula_sum 'Ni4 B4 H8'
_cell_length_a 4.514
_cell_length_b 4.514
_cell_length_c 4.514
_cell_angle_alpha 90.00
_cell_angle_beta 90.00
_cell_angle_gamma 90.00
_space_group_name_H-M_alt 'F m -3 m'
_space_group_IT_number 225
_space_group_name_Hall '-F 4 2 3'
loop_
_atom_site_label
_atom_site_type_symbol
_atom_site_fract_x
_atom_site_fract_y
_atom_site_fract_z
Ni1 Ni 0.000 0.000 0.000
B1 B 0.000 0.000 0.500
H1 H 0.250 0.250 0.250
# mass density	5.2	g cm⁻³
# distance to the lowest polymorph of the same formula	36.5	kJ/mol of atoms
# M_tot	0.0	μB per formula unit
# DOS at the Fermi energy	7.18	states/eV per cell
>>>
Mozambique | WPMOZM | Producer Prices | Monthly | 2011 |
Oman | WPOMNM | Producer Prices | Quarterly | 2010 |
Palestine | WPPSEM | Producer Prices | Monthly | 1996 |
Qatar | WPQATM | Producer Prices | Monthly | 2014 |
Rwanda | WPRWAM | Producer Prices | Quarterly | 2011 |
Saudi Arabia | WPSAUM | Producer Prices | Monthly | 1985 |
Senegal | WPSENM | Producer Prices | Monthly | 2008 |
Seychelles | WPSYCM | Producer Prices | Monthly | 2013 |
Tanzania | WPTZAM | Producer Prices | Quarterly | 2014 |
Trinidad And Tobago | WPTTOM | Producer Prices | Quarterly | 1978 |
Uganda | WPUGAM | Producer Prices | Monthly | 2011 |
Vietnam | WPVNMM | Producer Prices | Quarterly | 2011 |
Afghanistan | UNAFGM | Unemployment Rate | Annual | 1991 |
Angola | UNAGOM | Unemployment Rate | Annual | 1991 |
Albania | UNALBM | Unemployment Rate | Quarterly | 1991 |
Bosnia and Herzegovina | UNBIHM | Unemployment Rate | Monthly | 1991 |
Brunei Darussalam | UNBRNM | Unemployment Rate | Annual | 1991 |
Cape Verde | UNCVEM | Unemployment Rate | Annual | 1990 |
Ethiopia | UNETHM | Unemployment Rate | Annual | 1991 |
Faroe Islands | UNFROM | Unemployment Rate | Monthly | 1995 |
Georgia | UNGEOM | Unemployment Rate | Annual | 1991 |
Guatemala | UNGTMM | Unemployment Rate | Quarterly | 1991 |
Iran | UNIRNM | Unemployment Rate | Quarterly | 1991 |
Kyrgyzstan | UNKGZM | Unemployment Rate | Monthly | 1991 |
Kosovo | UNKSVM | Unemployment Rate | Quarterly | 2001 |
Kuwait | UNKWTM | Unemployment Rate | Annual | 1983 |
Mongolia | UNMNGM | Unemployment Rate | Quarterly | 1990 |
Namibia | UNNAMM | Unemployment Rate | Annual | 1991 |
Nigeria | UNNGAM | Unemployment Rate | Quarterly | 1991 |
Nicaragua | UNNICM | Unemployment Rate | Quarterly | 1980 |
Puerto Rico | UNPRIM | Unemployment Rate | Monthly | 1990 |
West Bank and Gaza | UNPSEM | Unemployment Rate | Quarterly | 1991 |
Qatar | UNQATM | Unemployment Rate | Quarterly | 1991 |
Rwanda | UNRWAM | Unemployment Rate | Annual | 1991 |
Syria | UNSYRM | Unemployment Rate | Annual | 1991 |
Tajikistan | UNTJKM | Unemployment Rate | Monthly | 1991 |
Uzbekistan | UNUZBM | Unemployment Rate | Quarterly | 1991 |